**Activity**
Search the block below for the word "data" and return each line that has it.

**Material**
┌──
*a*
First-principles (PBE) data for a geometry-optimized BaCaHf structure, as listed in the Alexandria database.

Computed properties:
**Calculated density**: 5.3 g/cm3
**Space group**: P1

Lattice parameters (Å, degrees): 3.5941 3.5933 17.6050 101.74 89.92 90.00
Fractional coordinates of all 6 atoms:
Ca  0.9925  0.7824  0.8674
Ca  0.4948  0.1083  0.6912
Hf  0.9963  0.4619  0.5443
Hf  0.4971  0.8633  0.4454
Ba  0.4875  0.4734  0.0617
Ba  0.9992  0.1967  0.2774

---

*b*
First-principles (PBE) data for a geometry-optimized BaCaHf structure, as listed in the Alexandria database.

Computed properties:
**Calculated density**: 5.2 g/cm3
**Space group**: P1

Lattice parameters (Å, degrees): 3.5558 6.3700 10.1835 78.23 89.95 90.04
Fractional coordinates of all 6 atoms:
Ca  0.0694  0.7663  0.8880
Ca  0.0700  0.3260  0.6616
Hf  0.5706  0.8683  0.5979
Hf  0.0713  0.0888  0.3862
Ba  0.5659  0.2084  0.0536
Ba  0.5720  0.6281  0.3001

---

*c*
First-principles (PBE) data for a geometry-optimized BaCaHf structure, as listed in the Alexandria database.

Computed properties:
**Calculated density**: 5.0 g/cm3
**Space group**: Pm

Lattice parameters (Å, degrees): 3.7186 15.9167 4.0812 90.00 90.00 103.48
Fractional coordinates of all 6 atoms:
Ca  0.2174  0.6634  0.6804
Ca  0.6348  0.0772  0.6804
Hf  0.8518  0.2941  0.6804
Hf  0.2731  0.2151  0.1804
Ba  0.9208  0.8668  0.1804
Ba  0.5092  0.4529  0.1804

---

Stability order, top to bottom: *c*, *a*, *b*

---

*a*
First-principles (PBE) data for a geometry-optimized Ba2CaHf2 structure, as listed in the Alexandria database.

Computed properties:
**Calculated density**: 6.2 g/cm3
**Space group**: P4/mbm

Lattice parameters (Å, degrees): 10.1686 10.1686 3.4848 90.00 90.00 90.00
Fractional coordinates of all 10 atoms:
Ca  0.0000  0.0000  0.0000
Ca  0.5000  0.5000  0.0000
Hf  0.0998  0.5998  0.5000
Hf  0.5998  0.9002  0.5000
Hf  0.9002  0.4002  0.5000
Hf  0.4002  0.0998  0.5000
Ba  0.3081  0.8081  0.0000
Ba  0.8081  0.6919  0.0000
Ba  0.6919  0.1919  0.0000
Ba  0.1919  0.3081  0.0000

---

*b*
First-principles (PBE) data for a geometry-optimized Ba2CaHf2 structure, as listed in the Alexandria database.

Computed properties:
**Calculated density**: 5.2 g/cm3
**Space group**: I4/mmm

Lattice parameters (Å, degrees): 4.0572 4.0572 13.2637 81.20 81.20 90.00
Fractional coordinates of all 5 atoms:
Ca  0.0000  0.0000  0.0000
Hf  0.7500  0.2500  0.5000
Hf  0.2500  0.7500  0.5000
Ba  0.3738  0.3738  0.2523
Ba  0.6262  0.6262  0.7477

---

Stability order, top to bottom: *b*, *a*

---

*a*
First-principles (PBE) data for a geometry-optimized BaCaHf3 structure, as listed in the Alexandria database.

Computed properties:
**Calculated density**: 7.4 g/cm3
**Space group**: Pm-3m

Lattice parameters (Å, degrees): 5.4263 5.4263 5.4263 90.00 90.00 90.00
Fractional coordinates of all 5 atoms:
Ca  0.0000  0.0000  0.0000
Hf  0.0000  0.5000  0.0000
Hf  0.0000  0.0000  0.5000
Hf  0.5000  0.0000  0.0000
Ba  0.5000  0.5000  0.5000

---

*b*
First-principles (PBE) data for a geometry-optimized BaCaHf3 structure, as listed in the Alexandria database.

Computed properties:
**Calculated density**: 7.6 g/cm3
**Space group**: Pm-3m

Lattice parameters (Å, degrees): 5.3889 5.3889 5.3889 90.00 90.00 90.00
Fractional coordinates of all 5 atoms:
Ca  0.5000  0.5000  0.5000
Hf  0.0000  0.5000  0.0000
Hf  0.0000  0.0000  0.5000
Hf  0.5000  0.0000  0.0000
Ba  0.0000  0.0000  0.0000

---

Stability order, top to bottom: *a*, *b*

---

*a*
First-principles (PBE) data for a geometry-optimized BaCaHf2Ru structure, as listed in the Alexandria database.

Computed properties:
**Calculated density**: 7.3 g/cm3
**Space group**: P4/mmm

Lattice parameters (Å, degrees): 5.3687 5.0245 5.3687 90.00 90.00 90.00
Fractional coordinates of all 5 atoms:
Ru  0.0000  0.5000  0.0000
Ca  0.5000  0.5000  0.5000
Hf  0.0000  0.0000  0.5000
Hf  0.5000  0.0000  0.0000
Ba  0.0000  0.0000  0.0000

---

*b*
└──

**Completed**
First-principles (PBE) data for a geometry-optimized BaCaHf structure, as listed in the Alexandria database.
First-principles (PBE) data for a geometry-optimized BaCaHf structure, as listed in the Alexandria database.
First-principles (PBE) data for a geometry-optimized BaCaHf structure, as listed in the Alexandria database.
First-principles (PBE) data for a geometry-optimized Ba2CaHf2 structure, as listed in the Alexandria database.
First-principles (PBE) data for a geometry-optimized Ba2CaHf2 structure, as listed in the Alexandria database.
First-principles (PBE) data for a geometry-optimized BaCaHf3 structure, as listed in the Alexandria database.
First-principles (PBE) data for a geometry-optimized BaCaHf3 structure, as listed in the Alexandria database.
First-principles (PBE) data for a geometry-optimized BaCaHf2Ru structure, as listed in the Alexandria database.